• Portobello Community Council
  • c/o 14 Rosefield Avenue
  • Portobello
  • EH15 1AU

Local Scout Group Volunteer Information

Posted on: November 12th, 2022

We have had the following from Scout Scotland about an open evening for the local Scout Groups Are you are able to support your local Scout Group please?  We are holding an Edinburgh Scouts Information event to cover our 14 Scout Groups in Portobello, Craigentinny, Craigmillar, Duddingston, Calton, Joppa, Stockbridge, Pilrig, Broughton, Trinity, Leith, Newhaven, Wardie and Willowbrae. […]

Trudy and Me – Local Author Crowdfunding for a book set in Portobello

Posted on: October 26th, 2022

Local Author Bridget Campbell is Crowdfunding for her book ‘Trudy & Me’ Which is set in Portobello. Here is a link to the crowdfunding page so that you can read more and a video about the book Trudy & Me – a picture book celebrating difference About the Project. Initially a collaboration between myself, Bridget […]

Portobello Community Council October 2022 Meeting 397

Posted on: October 25th, 2022

Notice of October 2022 Meeting The 397th meeting of Portobello Community Council will be held on Monday 31st October 2022 at 7:30 pm via Microsoft Teams  https://teams.microsoft.com/l/meetup-join/19%3ameeting_YmQyYjRiYjMtZWU5NS00MjE0LTg2MDktYTFjNDE0NTQ0NmRk%40thread.v2/0?context=%7b%22Tid%22%3a%2216f90125-bd56-4f6a-867b-2bed3568ee8c%22%2c%22Oid%22%3a%22347e3888-eeab-4f24-9ef1-3f7b353038b5%22%7d Or https://bit.ly/PCC397th Please note that you do not need Teams Installed as this link will give you the option to attend via your browser. You will be placed in […]

BBC Debate Night – Portobello 12th October

Posted on: October 7th, 2022

BBC Scotland’s topical debate programme Debate Night is filming in Edinburgh, Portobello next week. We have been asked to share the following so that you can apply to be part of the audience. I would be grateful if you could direct people to our application form here: www.bbc.co.uk/debatenight Filling out the online application takes just […]

Porty Community Energy – Heat Fair and hot Ceilidh

Posted on: October 5th, 2022

Porty Community Energy are arranging a Heat Fair and Hot Ceilidh at Bellfield on 5th November from 2pm – 10pm. See the attached flyer for details. PCE_flyer A5

Brunstane Road & Coillesdene ETRO Public Consultation

Posted on: September 20th, 2022

Further to the recent implementation of an Experimental Traffic Regulation Order in the Brunstane Road and Coillesdene area, the City of Edinburgh Council has made a new public consultation live today to gather views on the trial scheme. It will close on 1 November 2022. Link: www.edinburgh.gov.uk/coillesdene

PCC September Meeting Agenda – CPZ and other Traffic Issue meeting

Posted on: September 19th, 2022

The 396th meeting of the Portobello Community Council will be held on Monday 26th September 2022 at 7:30 pm at Portobello Baptist Church, 189 Portobello High St, Portobello, Edinburgh EH15 1EA Please note that this meeting is dedicated to the proposed CPZ (Controlled Parking Zone) and other traffic matters so there will be limited time […]

Seafield MOU

Posted on: September 19th, 2022

_Unrelated to this text: calculated crystals_
-- begin --
The following is a PBE calculation of crystalline Li4Cu3F12 at its relaxed geometry, from Materials Project.

Cell: 7.943 8.867 13.811 Å, 90.00 91.04 90.00°
Space group P2_1/c (No. 14)
Asymmetric unit:
Li: 0.037 0.004 0.402
Li: 0.115 0.168 0.169
Li: 0.216 0.121 0.901
Li: 0.421 0.698 0.335
Cu: 0.108 0.666 0.690
Cu: 0.349 0.160 0.543
Cu: 0.436 0.651 0.638
F: 0.045 0.008 0.839
F: 0.053 0.670 0.824
F: 0.066 0.189 0.330
F: 0.163 0.034 0.522
F: 0.187 0.673 0.562
F: 0.202 0.172 0.035
F: 0.285 0.514 0.707
F: 0.309 0.700 0.213
F: 0.345 0.191 0.681
F: 0.399 0.209 0.404
F: 0.416 0.505 0.391
F: 0.422 0.662 0.940

## Properties
electronic total energy = -4.238 eV/atom

~~~~~

# SrEuDyWO6, relaxed, DFT PBE with a Hubbard U
data_SrEuDyWO6
_space_group_name_H-M_alt 'F -4 3 m'
_space_group_IT_number 216
_space_group_name_Hall 'F -4 2 3'
_cell_length_a 8.382
_cell_length_b 8.382
_cell_length_c 8.382
_cell_angle_alpha 90.00
_cell_angle_beta 90.00
_cell_angle_gamma 90.00
loop_
_atom_site_label
_atom_site_type_symbol
_atom_site_fract_x
_atom_site_fract_y
_atom_site_fract_z
_atom_site_occupancy
Sr1 Sr 0.000 0.000 0.000 1
Eu1 Eu 0.000 0.000 0.500 1
Dy1 Dy 0.250 0.250 0.750 1
W1 W 0.250 0.250 0.250 1
O1 O 0.013 0.250 0.250 1
# theoretical density = 7.691 g/cm3
# DFT total energy = -8.05 eV per atom
-- stop --

Portobello Community Council are working with the City of Edinburgh Council and the other 3 community councils which border on Seafield to ensure that any development along the region involves the local communities that the development will impact. As such we have agreed to sign an MOU (Memorandum of Understanding) which is published in draft […]

New Brunstane Development Planning Application

Posted on: September 6th, 2022

The next stage in the New Brunstane Development has now reached the planning department and the public are invited to comment here: https://citydev-portal.edinburgh.gov.uk/idoxpa-web/search.do?action=simple&searchType=Application Using the reference 22/03946/AMC Please note that the planning for New Brunstane has already been agreed. This is the next stage where material concerns are addressed. Comments are open until Friday September […]

Exploring Sustainable Fashion, 8th to 11th September 1-4pm at Portobello Baptist Church

Posted on: September 6th, 2022

Exploring Sustainable Fashion, 8th to 11th September 1-4pm Portobello Baptist Church is curating a display of clothes which will be open to the public from Thursday 8th to Sunday 11th September (1pm to 4pm). In today’s world of “fast” fashion, which is having such a harmful impact on our planet, we want to celebrate “slow” […]